-- Source --
1.
48
Properties=species:S:1:pos:R:3:forces:R:3:mulliken_charge:R:1 method="wB97M-V/def2-TZVPD" s2=0.759 homo_lumo_gap_ev="8.135 / 8.120" lumo_ev="-0.061 / -0.069" spin_multiplicity=2 homo_energy_ev="-8.20 / -8.19" mol_weight_da=699.8
C 1.344181 2.891898 -1.048821 -0.032 0.031 -0.087 -0.615
H -1.677298 -0.376331 -2.980607 0.012 -0.005 0.005 0.524
H -0.558531 -3.819935 -0.718189 0.008 0.014 0.006 0.411
C -1.039048 -2.017894 -1.767047 0.010 -0.107 0.004 -0.080
F -1.752468 -0.045137 1.323539 0.078 0.090 0.001 -0.666
H 3.754794 0.381263 1.663200 0.014 -0.012 0.008 0.297
N 2.503171 -0.017087 0.050543 -0.048 -0.070 0.006 -0.257
F -1.603392 3.305936 -3.076087 -0.013 -0.013 0.011 -0.407
C -1.710582 -4.210320 -2.487644 -0.011 -0.023 -0.011 -0.562
H 2.337333 -0.761549 -0.620394 -0.006 0.011 -0.010 0.323
F -2.289465 1.043191 4.909840 0.006 0.004 -0.001 -0.527
H 1.734465 -0.004617 3.289933 -0.007 -0.012 0.010 0.231
H 0.969064 3.168050 -3.142659 -0.036 0.009 -0.016 0.455
C -2.347945 -2.260366 -3.767570 -0.007 0.025 -0.017 -0.547
H -1.727219 -5.282040 -2.346851 -0.003 0.001 -0.005 0.377
C 3.404131 -0.496137 1.117670 0.012 0.063 -0.029 -0.607
O -0.302861 0.109245 -0.994501 0.159 -0.084 0.195 -0.367
O 0.226914 -1.615554 0.231317 -0.024 -0.031 -0.036 -0.646
N 1.464893 -0.662112 2.564950 0.025 0.067 -0.035 -0.375
C -1.054997 -3.395549 -1.580199 -0.021 0.026 -0.031 -0.284
C -1.687855 -1.451007 -2.857132 -0.020 -0.035 -0.029 -0.447
C -2.351278 -3.635378 -3.577800 0.022 0.004 0.034 -0.032
F -2.962450 2.020833 2.485358 0.020 0.013 0.014 -0.558
F -3.815845 -0.467761 3.117804 0.018 0.011 -0.019 -0.526
H 2.921244 0.757841 -0.450715 -0.022 0.004 -0.023 0.278
C 0.545701 3.077027 -2.151399 0.039 -0.027 0.032 -0.765
H -1.053947 2.880941 1.352056 0.001 0.011 0.005 0.569
C -1.415315 3.062537 -0.746949 -0.063 -0.017 0.148 -0.671
H 2.250127 -2.264348 1.504793 0.005 -0.001 0.003 0.290
H 2.673009 2.411279 1.225324 0.001 -0.008 0.030 0.482
I -3.337286 -4.860097 -4.947678 -0.003 0.002 -0.003 0.097
C 0.801198 2.783767 0.251581 -0.013 0.006 0.153 -0.133
C 1.599486 2.335150 1.390702 0.050 -0.079 -0.061 -0.965
Ti 0.483221 0.499904 0.928015 -0.197 0.119 -0.090 0.795
C -0.834091 3.142528 -1.980472 0.072 0.023 -0.088 0.440
H 0.765310 -1.278945 2.970965 -0.003 -0.005 -0.011 0.228
H 1.307680 2.739766 2.355160 -0.016 0.036 -0.003 0.387
Sb -2.191936 0.444216 3.146498 -0.011 -0.140 -0.055 2.536
C 2.627555 -1.401630 2.052743 -0.008 -0.051 0.010 -0.659
H 3.278342 -1.763322 2.852102 -0.005 0.006 0.004 0.470
C -0.596711 2.877820 0.372493 0.039 -0.001 -0.136 -0.033
F -1.262965 -1.115779 3.680666 0.014 0.025 0.018 -0.620
H 4.278233 -1.014865 0.717660 -0.007 -0.016 0.002 0.454
C -0.337694 -1.147460 -0.797562 -0.004 0.155 0.049 0.838
H -2.857070 -1.822616 -4.614867 -0.001 -0.013 -0.003 0.388
H 2.420902 2.862320 -1.178587 0.006 0.004 0.027 0.633
F -0.433738 1.259393 2.916200 -0.032 -0.017 0.047 -0.636
H -2.488948 3.132954 -0.637405 0.000 0.007 -0.025 0.480

=====

2.
41
Properties=species:S:1:pos:R:3:forces:R:3:mulliken_charge:R:1 method="wB97M-V/def2-TZVPD" s2=6.092 homo_lumo_gap_ev="5.617 / 3.431" lumo_ev="-2.775 / -7.832" total_charge=+1 spin_multiplicity=5 homo_energy_ev="-8.39 / -11.26" mol_weight_da=360.2
H -0.067586 -0.048239 -0.038612 -0.220 0.039 0.372 0.673
Fe 3.558213 -1.382026 -0.606091 0.865 -1.656 -1.060 0.248
C -4.400454 -0.634261 2.834459 -0.504 -0.350 0.510 -0.698
O -4.136370 0.182544 1.684602 1.155 0.189 -0.530 -0.289
O -1.930897 -0.223685 1.995655 -0.837 0.992 -0.907 -0.578
C -2.654563 1.148298 0.134661 -0.259 -0.549 0.025 0.231
H -2.672570 4.409163 0.420428 0.105 -0.144 -0.314 0.289
N -1.256627 1.530324 0.157780 -0.984 2.162 0.989 -0.084
O 5.687982 0.560002 -0.316224 -2.022 -1.494 -0.613 -0.352
H -4.307163 2.306986 -0.648325 0.145 0.155 0.185 0.373
C 0.743932 -0.683808 -0.348485 1.007 0.018 -0.235 -0.614
H -0.626560 3.443367 0.806726 0.158 -0.529 -0.251 0.355
H -3.839615 -1.573310 2.794023 -0.123 0.269 -0.058 0.323

-- Request --
Say how many lines of the material further above hold the word "species", as a bare number.

-- Solution --
2